Molly has been required to focus on her work lately, and Slave's been relatively busy too. Yesterday was one of those days where we both were planning to be out the door sooner than we would like, so I abandoned the blogging early to make sure we could fit in some "help us get through the day without getting too horny" sex before putting on our games faces.
Since we would be driving separately, because of a political meeting I planned to attend at the end of the day, Mistress had strict orders before we went to sleep:
"Make sure you remember the cage tomorrow, Slave.... "
The other day, Sin had a post, no doubt inspired by the whole Herman Cain meltdown, on the subject of politicians and their proclivity to get wrapped up in sexual scandal. Well, the propensity for the straying spouse, boyfriend or girlfriend in a political campaign is not just limited to the candidates. There is something about the late hours, high stakes, spartan offices and intense deadlines that gets the hormones flowing in odd and potentially dangerous ways for staffers and volunteers too.
The recent Clooney movie "Ides of March" (which was filmed in these parts) picks up the scent well, capturing the flavor of the spontaneous but Oh so Hot sexual couplings that can spin off when you throw together attractive and ambitious men and women far from home in a Presidential primary campaign.
And of course Mistress knows this potential from first hand experience: she and her Slave first got involved through their interactions during the primaries of 1988.... a story I've told here before.
So, while Mistress has nothing to fear, she certainly can't be blamed for making sure her Slave is suitably "contained" before he heads to any political event as we head into the 2012 election cycle, can she?
Of course there is also a cage dividend for her: once the steel ring is properly seated, holding my cock and balls tight, it can provide her with the extra thrill of a particularly hard and persistent "work-a-day" cock.
And that's exactly what she got yesterday morning, after I warmed up those clean shaven folds with suitable worship as she read the blog.
After we came down from those morning festivities, it was up and into the shower for us. Once dried off, I slid the cover onto the cage, and handed Mistress the lock to make sure I was all secured away for the day.
She gave me that little smile, and closed the hasp nice and tight.
"Feel better, Mistress?"
"Absolutely, Slave...."
One thing she called to my attention as i was suiting up was that she was wearing those special "peek-a-boo tights", a new pair she had picked up over the weekend at Nordstrom's. (I had my camera handy, so had to take the picture above to share, just as Mistress finished up her morning blow dry.)
"Hmmmm.... but you aren't coming over for worship, Mistress..... have other plans?"
"You never can tell what opportunities will arise, Slave."
Unfortunately, they didn't have peek-a-boo tights when I first met Mistress, back during the Dukakis campaign.
She was feeling the lack of exercise, so took off on an early am bike ride, even as a light and chilly rain was falling, at around 8 am, as I headed to my office.
One daughter was still fighting a flu, now turned into a nasty cough. She needed to visit the MD again, and though she could have driven herself, well, Mistress felt obligated to go along and make sure she understood what the prescribed treatment might be. Not necessary, but a Mom thing. And I’m sure the surly teen appreciated her concern and presence.
After the doctor’s visit, and picking up medication and more Gatorade, she rushed to a lunch meeting with an important and high maintenance client (who happens to be a lesbian, with a bit of a crush on Mistress).
As it turned out, by happenstance I had picked the same lunch spot to meet some clients of my own, so I got to see Mistress with her shorter, somewhat older, but sort of moon eyed friend as they chatted over lunch.
Next to the entry, the page also holds data records:
'''
Entry from the Materials Project database: an optimized crystal structure of Bi2O3 (GGA-PBE).

The space group is Pm (No. 6) and the conventional cell measures 4.3192, 3.7278 and 5.7166 Å, with angles of 90.00, 92.66 and 90.00 degrees. The distinct sites, in fractional coordinates, are Bi at (0.0000, 0.0000, 0.0000), Bi at (0.4376, 0.5000, 0.4443), O at (0.1909, 0.5000, 0.7939), O at (0.4418, 0.0000, 0.2153) and O at (0.9775, 0.5000, 0.2679).

Its largest piezoelectric modulus is 1.5 C/m². The value obtained for the volume is 91.9 Å³/f.u. For the total energy, the calculation gives -0.208 Ha/atom.

Entry from the Materials Project database: an optimized crystal structure of BiO2 (GGA-PBE).

The space group is Fd-3m (No. 227, origin choice 2) and the conventional cell measures 9.9310, 9.9310 and 9.9310 Å, with angles of 90.00, 90.00 and 90.00 degrees. The distinct sites, in fractional coordinates, are Bi at (0.0000, 0.0000, 0.0000) and O at (0.0205, 0.0205, 0.2295).

The value obtained for the volume is 61.2 Å³/f.u. For the total energy, the calculation gives -0.197 Ha/atom. The energy above the most stable polymorph in this dataset is 244.7 meV per atom.

- Number 2 is which compound?
  BiO2

- What is the volume in the second record?
  61.2 Å³/f.u.

- The highest volume belongs to which entry?
  Bi2O3

* * * * *

No. 1
# PBE-GGA CeSb2Pd, relaxed
data_CeSb2Pd
_chemical_formula_sum 'Ce2 Sb4 Pd2'
_symmetry_space_group_name_H-M 'P 4/n m m'
_symmetry_Int_Tables_number 129
_cell_length_a 4.435
_cell_length_b 4.435
_cell_length_c 9.799
_cell_angle_alpha 90.00
_cell_angle_beta 90.00
_cell_angle_gamma 90.00
loop_
_symmetry_equiv_pos_as_xyz
'x,y,z'
'-x,-y,-z'
'-y+1/2,x,z'
'y+1/2,-x,-z'
'-x+1/2,-y+1/2,z'
'x+1/2,y+1/2,-z'
'y,-x+1/2,z'
'-y,x+1/2,-z'
'x+1/2,-y,-z'
'-x+1/2,y,z'
'-y,-x,-z'
'y,x,z'
'-x,y+1/2,-z'
'x,-y+1/2,z'
'y+1/2,x+1/2,-z'
'-y+1/2,-x+1/2,z'
loop_
_atom_site_label
_atom_site_fract_x
_atom_site_fract_y
_atom_site_fract_z
Ce1 0.250 0.250 0.244
Sb1 0.250 0.250 0.836
Sb2 0.250 0.750 0.500
Pd1 0.250 0.750 0.000
# ΔE_f in eV/atom: -0.84
# Crystal system: tetragonal

---

No. 2
# PBE-GGA CeSb2Pd2, relaxed
data_CeSb2Pd2
_chemical_formula_sum 'Ce2 Sb4 Pd4'
_symmetry_space_group_name_H-M 'P 4/n m m'
_symmetry_Int_Tables_number 129
_cell_length_a 4.674
_cell_length_b 4.674
_cell_length_c 10.471
_cell_angle_alpha 90.00
_cell_angle_beta 90.00
_cell_angle_gamma 90.00
loop_
_symmetry_equiv_pos_as_xyz
'x,y,z'
'-x,-y,-z'
'-y+1/2,x,z'
'y+1/2,-x,-z'
'-x+1/2,-y+1/2,z'
'x+1/2,y+1/2,-z'
'y,-x+1/2,z'
'-y,x+1/2,-z'
'x+1/2,-y,-z'
'-x+1/2,y,z'
'-y,-x,-z'
'y,x,z'
'-x,y+1/2,-z'
'x,-y+1/2,z'
'y+1/2,x+1/2,-z'
'-y+1/2,-x+1/2,z'
loop_
_atom_site_label
_atom_site_fract_x
_atom_site_fract_y
_atom_site_fract_z
Ce1 0.250 0.250 0.241
Sb1 0.250 0.250 0.871
Sb2 0.250 0.750 0.500
Pd1 0.250 0.250 0.625
Pd2 0.250 0.750 0.000
# M_tot in μB/f.u.: 0.81
# ΔE_f in eV/atom: -0.78
# Crystal system: tetragonal

---

No. 3
# PBE-GGA CeScPd6, relaxed
data_CeScPd6
'''
Back to the entry:
Cute. And of course, whenever Mistress gets to say hello to my clients (these were two females) they always give her the admiring eye, as in “hmmmm….. what does old Mick have going that this hot young thing is with her?
Then Mistress was heading back home, juggling another client’s crisis via phone, while escorting the sick surly teen to get a passport she will need before an overseas trip in the fall.
And that early 5 am sex, well it sure was hot, but I think it had us both a bit exhausted as the day progressed.
As she said to me later in the day. “sometimes it seems impossible to be parents and also do this two career thing!”. No doubt. It’s something that has been a challenge for us, but particularly for her, for all these years. Mistress refuses to do anything, particularly parenting, half way.
It may well be – with that teen’s foreign trip come the fall – that we will actually have the proverbial empty nest in a few months, a year before anticipated.
And of course, there are some huge upsides to that. Time together … free range of the house for all that kinky stuff. We can even invite some of our blogger friends over for a visit …. Come on up, Aisha, and bring MoR with you if he comes for a visit!
And of course our Far flung management team will be welcome too.
But it will also be odd. We sure will miss the upside of these surly critters and their (every now and then) charms.
It did get me thinking about Molly and Mick’s “secret origins” though. Something we’ve not spoken much about on these pages.
Although it’s quite possible we ran into one another earlier – having lived in the same town and gone to many of the same events – the age difference may have caused us to pass like two trains in the night.
(I often wonder whether Molly ever sold me skis or equipment at a ski store she worked at in her high school years, where I took my older daughters to get their first ski paraphernalia).
When Mistress first popped up on my radar it was about 23 years ago, in the fall of 1987, at a local political dinner. I was 37. She was only 24 or so. And of course she was a vision. Surprisingly stylish in a typically frumpy River City crowd, with a short designer-ish dress, that long beautiful hair, a sparkle in her eye.
She jumped out of the room at me.
I think I remember her introducing herself to me as we talked in a group. She was on the staff of a state elected official who has gone on to do bigger things in DC by now.
And I recall complimenting her on her outfit….and offering to walk her to her car afterwards.
Yeah, forward, I know, for a married guy. Then again she was married too.
She passed on my offer, by the way. She told me later that I had a "reputation". Probably true. and for good reason.
A week or so ago, someone blogged about the impact of touch as a relationship develops. And as the months passed, as we came to know one another better, and work together on the ill fated Presidential campaign of a certain short Greek Governor, well, I found it was very hard not to touch Molly….
Nothing gross or sexual of course.
I was not the type of guy who would come out and say…. “hey…. I’m amazingly attracted to you…. Do you mind if I kiss you?”
That would be wrong. Not the way a bashful Irish Catholic guy would operate, if your last name was not “Kennedy”, that is. I guess I had always been the type who was a little too chicken to make the first “move” with a woman.
But, I seemed to find myself touching Molly’s arm, very lightly as we talked. And I remember a scene in our campaign office. She was working at a table, compiling a list maybe. Other folks were around, everyone talking about our primary plans. I was standing behind Molly.
And I realized I was rubbing her neck with my fingers…..
Argggh. Of course, once my brain caught up with my fingers, I stepped back, hoping that no one else noticed.
Though I suspect Molly did.
For me, she was just- literally - irresistible.
There was another evening, the night before the primary. We were out late, driving around the city with some friends, stapling signs to phone polls near polling locations. I was driving, and when our assignment was done, around 1 am, I made sure that I dropped Molly off last, in front of her apartment, which was not far from the house I shared with my wife and daughters.
I stepped out of the car, walked her to her door. At least for me, the sexual tension was palpable. Hormones and politics are a heady mix, even when the candidate is a short Greek guy….
It’s probably the closest I ever came to taking a liberty with Molly without advance consent….. I was desperate to kiss her…. But her signals were …. Ambivalent…
And since it was not clear that I had the green flag, well…..
“I guess we’ll see each other tomorrow, at the Victory Party?”
‘I’m sure we will, Mick”.
Well as Donna said on Thursday, my word count is covered. And I think I hear Mistress waking. Better make sure she gets lots of attention on CEO Appreciation Day. So I will leave you with this period photo rather than finishing this lurid tale.
In her Sunday post, Sin cheekily proposed a Halloween get together for her little circle of kinky bloggers and their significant others in perviness. And the thought of putting faces and body parts to cyber-noms is certainly intriguing.
Maybe we could even get our Western Correspondent and his mysterious wife B to tag along. And bring their collection of paddles.
But what got me flashing back was Sin’s proposal that Tennessee would be a good mid-way point for such a meet up. It so happens that a lovely B & B in the Smokies was the scene of Mick and Molly’s first extended Bondage caper, way back in the summer of 1988.
Let me set the stage.
It was just a few months since Molly had called Mick’s bluff.
“You’ve been flirting with me for months. Are you ever going to do something about it?” was the thrust of her message to me.
We were both married to other folks. Nice folks, actually. But we were thrown together by the vagaries of politics. And once thrown together, we just …. Stuck.
And yes, folks, it was Mike Dukakis’s Presidential campaign that brought us together. ( I can hear you laughing!)
When was the last time you thought of Mike Dukakis in the context of hot, illicit, I know I shouldn’t even think about this but can’t help myself, sex?
Molly had just turned 26. Which seems even worse now, since I have two older daughters.
I was a mature, full head of haired 38. I still feel like a cradle robber. Though it still feels SOOOO good.
Somehow we were allowed by spouses to go solo to the Democratic Convention that summer in Atlanta. And, well, over that week we seemed to spend the bulk of our time in bed.
I just remember lots of rumpled, damp sheets, very little sleep, Jesse Jackson ranting endlessly about rainbows, shaking JFK, Jr. ‘s hand, and Neil Diamond singing that song about “Coming to America” as the (lets say it all together now) “proud son of Greek Immigrants” took the stage.
But on the way back, somehow, we arranged two nights in this lovely Inn in the Smokies called the Buckhorn Lodge. ( Thank God those were the days without cell phones or GPS devices, allowing us to make our selves very, very scarce.)
Anyway, we were able to rent this house buried in the forest. And Mick had brought his little bag of tricks along, filled with various lengths of rope.
Unrelated to this entry: calculated crystals >
+++
Entry 1:
Density functional theory data (PBE-GGA) for SnPd3C after structural relaxation.

a = 4.253 Å, b = 4.253 Å, c = 4.253 Å
α = 90.00°, β = 90.00°, γ = 90.00°
Positions (direct):
Sn1 0.000 0.000 0.000
Pd1 0.000 0.500 0.500
Pd2 0.500 0.000 0.500
Pd3 0.500 0.500 0.000
C1 0.500 0.500 0.500

ΔH_f (0 K) (eV/atom): 0.120
E (Ha/atom): -0.20711


Entry 2:
Density functional theory data (PBE-GGA) for GdAl2Si2 after structural relaxation.

a = 4.204 Å, b = 4.204 Å, c = 6.617 Å
α = 90.00°, β = 90.00°, γ = 120.00°
Positions (direct):
Gd1 0.000 0.000 0.000
Al1 0.333 0.667 0.357
Al2 0.667 0.333 0.643
Si1 0.333 0.667 0.740
Si2 0.667 0.333 0.260

ΔH_f (0 K) (eV/atom): -0.364
E (Ha/atom): -0.25269


Entry 3:
Density functional theory data (PBE-GGA) for LuAgTe2 after structural relaxation.

a = 4.434 Å, b = 4.434 Å, c = 7.386 Å
α = 90.00°, β = 90.00°, γ = 120.00°
Positions (direct):
Lu1 0.000 0.000 0.000
Ag1 0.333 0.667 0.410
Te1 0.333 0.667 0.785
Te2 0.667 0.333 0.239

ΔH_f (0 K) (eV/atom): -1.058
E (Ha/atom): -0.15645


Entry 4:
Density functional theory data (PBE-GGA) for Be3Ni after structural relaxation.

a = 4.592 Å, b = 4.592 Å, c = 3.702 Å
α = 90.00°, β = 90.00°, γ = 120.00°
Positions (direct):
Be1 0.166 0.332 0.250
Be2 0.166 0.834 0.250
Be3 0.332 0.166 0.750
Be4 0.668 0.834 0.250
Be5 0.834 0.166 0.750
Be6 0.834 0.668 0.750
Ni1 0.333 0.667 0.750
Ni2 0.667 0.333 0.250

ΔH_f (0 K) (eV/atom): -0.281
E above lowest polymorph (eV/atom): 0.003
E (Ha/atom): -0.16648


Entry 5:
Density functional theory data (PBE-GGA) for Al45Cr7 after structural relaxation.

a = 10.971 Å, b = 10.971 Å, c = 10.928 Å
α = 106.26°, β = 106.26°, γ = 40.31°
Positions (direct):
Al1 0.000 0.000 0.000
Al2 0.019 0.394 0.634
Al3 0.022 0.022 0.256
Al4 0.028 0.642 0.645
Al5 0.113 0.748 0.510
Al6 0.115 0.115 0.729
Al7 0.125 0.495 0.881
Al8 0.126 0.126 0.134
Al9 0.131 0.505 0.145
Al10 0.208 0.208 0.986
Al11 0.252 0.887 0.490
Al12 0.258 0.651 0.878
Al13 0.276 0.276 0.509
Al14 0.276 0.653 0.295
Al15 0.347 0.724 0.705
Al16 0.349 0.742 0.122
Al17 0.358 0.972 0.355
Al18 0.372 0.372 0.388
Al19 0.394 0.019 0.634
Al20 0.410 0.410 0.657
Al21 0.419 0.419 0.060
Al22 0.495 0.125 0.881
Al23 0.495 0.869 0.855
Al24 0.505 0.131 0.145
Al25 0.505 0.875 0.119
Al26 0.581 0.581 0.940
Al27 0.590 0.590 0.343
Al28 0.606 0.981 0.366
Al29 0.628 0.628 0.612
Al30 0.642 0.028 0.645
Al31 0.651 0.258 0.878
Al32 0.653 0.276 0.295
Al33 0.724 0.347 0.705
Al34 0.724 0.724 0.491
+++
Those were the days before we discovered the wisdom of putting Molly in charge. So she found herself bound to our bed that first night, at my mercy, and more than well fucked before the sun came up.
And I recall our hike, when, even deeper in the woods, I pulled her off the trial, bound her to a tree, and used a whippy tree branch as a switch to illustrate her bottom with a lovely rosy pattern, before using fingers and mouth to force an orgasm or two from her.
What a shame there were no digital cameras in the ‘80’s. Those would have been shots I would not want have taken to the local drug store for processing.
So if Sin and her Dom ever need a convenient place to come together, and to invite the rest of us along for the show, here is a link to the scene of those crimes.